Facebook Files Patent for "Mind-Reading" Smart Glasses

Facebook (Nasdaq: FB) has recently filed a patent for augmented-reality smart glasses. Augmented reality is expected to be a feature on the iPhone 12, so it could indicate a looming competition with Apple (Nasdaq: AAPL) for this market. Google (Nasdaq: GOOG) was the first to launch a smart glasses product with Google Glass a few years ago which flopped due to a lack of features and glitches.

'''
# GGA-PBE OsWS3, optimized geometry
# volume: 18.4 Å³ per atom
# formation energy without anion corrections: 1414 meV/atom
# calculated total energy: -5.90 eV per atom
# energy relative to the lowest polymorph listed for this composition: 0.210 eV per atom
# size of the total moment: 0.0 μB/f.u.
data_OsWS3
_chemical_formula_sum 'Os1 W1 S3'
_symmetry_space_group_name_H-M 'P m -3 m'
_symmetry_Int_Tables_number 221
_symmetry_space_group_name_Hall '-P 4 2 3'
_cell_length_a 4.514
_cell_length_b 4.514
_cell_length_c 4.514
_cell_angle_alpha 90.00
_cell_angle_beta 90.00
_cell_angle_gamma 90.00
loop_
_atom_site_label
_atom_site_fract_x
_atom_site_fract_y
_atom_site_fract_z
Os1 0.000 0.000 0.000
W1 0.500 0.500 0.500
S1 0.000 0.000 0.500
'''

Patent Filing

Despite Google Glass' failure, many tech companies are working on wearable technology products. 5G internet with its faster speeds could create a number of new uses for the product, especially once developers start playing around with the tech and build apps on top of it. Facebook recently filed a patent which shows that its smart glasses with "subvocalized speech recognition". In its patent filing, it said that it hopes the glasses can replace devices so people can be more present.

The filing shows a number of sensors on the glasses with one near the ears that supposedly can detect changes in brain activity. In the same way that a smartphone is responsive to different gestures, the glasses product would be responsive to changes in thought. The patent filing for the glasses also shows more conventional features like a built-in camera and microphone on the frames, the lens which doubles as a display, and some control buttons on the sides.

........
(1)
Material: TaMo2Se
Method: DFT, GGA-PBE
State: optimized geometry

a = 2.9303 Å, b = 2.9303 Å, c = 8.6017 Å
α = 90.00°, β = 90.00°, γ = 112.10°
Sites, in units of the cell vectors:
Se (0.0000, 0.0000, 0.5050)
Mo (0.5000, 0.5000, 0.2400)
Mo (0.0000, 0.0000, 0.0051)
Ta (0.5000, 0.5000, 0.7498)

Properties
Total moment = 0.000 μB per atom
N(E_F) = 0.880 states/eV per atom
Space-group type = Cmm2, No. 35
ΔE_f (raw) = 0.203 eV per atom

(2)
Material: YInCu10
Method: DFT, GGA-PBE
State: optimized geometry

a = 4.1016 Å, b = 4.9804 Å, c = 8.6501 Å
α = 90.00°, β = 90.00°, γ = 90.00°
Sites, in units of the cell vectors:
Cu (0.0000, 0.5000, 0.1768)
Cu (0.5000, 0.5000, 0.0000)
Cu (0.5000, 0.2468, 0.7517)
Cu (0.0000, 0.0000, 0.3417)
Cu (0.5000, 0.2468, 0.2483)
Cu (0.0000, 0.5000, 0.8232)
Cu (0.5000, 0.7532, 0.7517)
Cu (0.5000, 0.0000, 0.5000)
Cu (0.0000, 0.0000, 0.6583)
Cu (0.5000, 0.7532, 0.2483)
Y (0.0000, 0.0000, 0.0000)
In (0.0000, 0.5000, 0.5000)

Properties
Total moment = 0.000 μB per atom
N(E_F) = 0.306 states/eV per atom
Space-group type = Pmmm, No. 47
E_form = -0.073 eV per atom


(1)
VASP calculation (PBE) on a relaxed structure of AcTb2ThAs4.

Structure (POSCAR):
```
AcTb2ThAs4
1.0
7.3584 0.0000 0.0000
0.0000 4.2709 0.0000
-2.4701 0.0000 6.9943
Ac Tb Th As
1 2 1 4
direct
0.0000 0.0000 0.0000 Ac
0.5000 0.0000 0.5000 Tb
0.5000 0.5000 0.0000 Tb
0.0000 0.5000 0.5000 Th
0.2601 0.0000 0.7451 As
0.2655 0.5000 0.2645 As
0.7345 0.5000 0.7355 As
0.7399 0.0000 0.2549 As
```

Computed properties:
ΔE_f: -1.478 eV/atom
space-group type: P2/m (10)

(2)
VASP calculation (PBE) on a relaxed structure of Cd2C.

Structure (POSCAR):
```
Cd2C
1.0
-1.5172 1.5172 11.1650
1.5172 -1.5172 11.1650
1.5172 1.5172 -11.1650
Cd C
4 2
direct
0.3086 0.5586 0.7500 Cd
0.4414 0.6914 0.7500 Cd
0.5586 0.3086 0.2500 Cd
0.6914 0.4414 0.2500 Cd
0.1250 0.8750 0.2500 C
0.8750 0.1250 0.7500 C
```

Computed properties:
ΔE_f: 1.394 eV/atom
space-group type: I4_1/amd (141)

(3)
VASP calculation (PBE) on a relaxed structure of FeTcMo2H.

Structure (POSCAR):
```
FeTcMo2H
1.0
3.9444 0.0000 0.0000
0.0000 3.9444 0.0000
0.0000 0.0000 3.8796
Fe Tc Mo H
1 1 2 1
direct
0.0000 0.0000 0.0000 Fe
0.5000 0.5000 0.0000 Tc
0.0000 0.5000 0.5000 Mo
0.5000 0.0000 0.5000 Mo
0.5000 0.5000 0.5000 H
```

Computed properties:
space-group type: P4/mmm (123)
E_tot: -8.630 eV per atom

(4)
VASP calculation (PBE) on a relaxed structure of PrB2Pd7.

Structure (POSCAR):
```
PrB2Pd7
1.0
3.4839 -5.7491 0.0000
3.4839 5.7491 0.0000
0.0000 0.0000 4.1886
Pr B Pd
1 2 7
direct
0.0000 0.0000 0.0000 Pr
0.3107 0.6893 0.5000 B
0.6893 0.3107 0.5000 B
0.0552 0.3369 0.5000 Pd
0.2747 0.7253 0.0000 Pd
0.3369 0.0552 0.5000 Pd
0.5000 0.5000 0.5000 Pd
0.6631 0.9448 0.5000 Pd
0.7253 0.2747 0.0000 Pd
0.9448 0.6631 0.5000 Pd
```

Computed properties:
ΔE_f: -0.236 eV/atom
space-group type: Cmmm (65)

(5)
VASP calculation (PBE) on a relaxed structure of ScFeCu.

Structure (POSCAR):
```
ScFeCu
1.0
........

Facebook's Future

Facebook bought Oculus, a virtual reality company, in 2014 for $2.3 billion. It also made a deal with Plessey, an augmented reality company whose tech is integral to this patent, and it reportedly beat out Apple. While Apple seems to be focused on augmented reality through its smartphone, Facebook seems to be diversifying its bets with virtual reality through Oculus, this augmented reality glasses product and reportedly developing open-source operating systems for VR or AR.

Facebook missed out on the smartphone, hardware race, which makes it dependent on Google and Apple. It seems determined to be part of the hardware in the next iteration of devices. One key feature for these devices is microLED which is brighter and more powerful than today's LED screens. Also unlike LED, they work just as well in sunlight. Apple is opening a new factory dedicated towards microLED production and these are expected to become standard for new Apple products which is expected to include headsets or glasses.


There's an ongoing battle between major tech companies across a number of vectors. However, a new front is emerging with wearable technology, virtual reality, and augmented reality. One lesson from the past decade is that there are only going to be a handful of winners. Apple generates the bulk of profits on devices. Google owns search, Facebook owns social, and Amazon owns e-commerce. It's likely that these new market segments will be winner-take-all as well. Due to not having its own hardware, Facebook is at a disadvantage, so it's compensating with its aggressiveness and diversified bets.